“It’s not happening,” I tell him. “Even if I wanted it, which I don’t, she doesn’t.”
Chapter 26
“Why is this your favorite sex toy shop?” Penny asks as we climb the stairs from the subway to the sidewalk. Someone shoulders in between us to hustle down the stairs. I grab her hand again and pull her closer.
“It’s where I lost my virginity,” I say as I lead the way around the corner.
She narrows her eyes. “Seriously?”
I laugh at her expression. “Just teasing. That was at Emma Cotham’s pool party. They have a nice massage oil here.”
“Only the best for your dick?”
“You’re starting to get me.” At the right storefront, I pull open the door. Dark Allure is tiny, a scrap of a shop sandwiched between an Indian restaurant and a nail salon. I could get the oil I like to use when I jerk off somewhere more convenient, but I enjoy browsing the aisles. People get up to some seriously freaky shit. The first display is tame, just a row of nicely sized butt plugs, but around the corner, I know there are some metal chastity devices. “Why don’t we make it into a game? Cheesy or cringe?”
She gets my drift right away, a smile breaking out on her face. “You’re on.”
“Sweetheart?” I say just before I lose her in the aisles.
She looks over her shoulder. “Yeah?”
“And pick out whatever you want. But choose wisely, because whatever you get, I’m using on you later.”
She flushes, but holds my gaze for a moment before hurrying down the aisle.
I poke around the front of the store, which has some costumes for roleplaying, and grab the jasmine-and-bergamot scented oil off the shelf. I need to introduce Penny to it sometime soon. I spot her looking through a bin of cock rings and grab a fox tail butt plug before heading in her direction. She’s so engrossed in looking at the different options that she doesn’t notice me until I dangle the tail in front of her face.
“Cooper!” she says, giggling. “What even is that?”
Unrelated to this text: calculated crystals =
Arrangement a

A plane-wave DFT calculation with PBE was carried out for an optimized crystal structure of Ba3AgI.

crystal system = orthorhombic
SG = Pmmn, No. 59
total moment = 0.1 Bohr magnetons per cell
ρ = 4.49 Mg/m³

a b c (Å): 4.734 8.823 11.458
angles (deg): 90.00 90.00 90.00
Positions (direct):
Ba: 0.250 0.750 0.422
Ba: 0.250 0.507 0.843
Ba: 0.250 0.993 0.843
Ba: 0.750 0.007 0.157
Ba: 0.750 0.250 0.578
Ba: 0.750 0.493 0.157
I: 0.250 0.250 0.332
I: 0.750 0.750 0.668
Ag: 0.250 0.750 0.094
Ag: 0.750 0.250 0.906

---

Arrangement b

A plane-wave DFT calculation with PBE was carried out for an optimized crystal structure of Ba3AgI.

crystal system = cubic
SG = Pm-3m, No. 221
total moment = 0.0 Bohr magnetons per cell
ρ = 3.88 Mg/m³

a b c (Å): 6.519 6.519 6.519
angles (deg): 90.00 90.00 90.00
Positions (direct):
Ba: 0.000 0.500 0.000
Ba: 0.500 0.000 0.000
Ba: 0.000 0.000 0.500
I: 0.500 0.500 0.500
Ag: 0.000 0.000 0.000

---

Here is how they stack up, most stable first: arrangement a, arrangement b.

---

Arrangement a

A plane-wave DFT calculation with PBE was carried out for an optimized crystal structure of BaAgI3.

crystal system = monoclinic
SG = C2/m, No. 12
total moment = 0.0 Bohr magnetons per cell
ρ = 4.87 Mg/m³

a b c (Å): 5.182 9.360 9.359
angles (deg): 69.98 89.46 89.47
Positions (direct):
I: 0.493 0.904 0.727
I: 0.992 0.616 0.439
I: 0.493 0.288 0.343
I: 0.992 0.000 0.055
I: 0.482 0.349 0.787
I: 0.002 0.556 0.995
Ag: 0.742 0.259 0.084
Ag: 0.743 0.645 0.698
Ba: 0.982 0.193 0.632
Ba: 0.502 0.711 0.150

---

Arrangement b

A plane-wave DFT calculation with PBE was carried out for an optimized crystal structure of BaAgI3.

crystal system = cubic
SG = Pm-3m, No. 221
total moment = 0.0 Bohr magnetons per cell
ρ = 5.17 Mg/m³

a b c (Å): 5.858 5.858 5.858
angles (deg): 90.00 90.00 90.00
Positions (direct):
I: 0.500 0.000 0.000
I: 0.000 0.000 0.500
I: 0.000 0.500 0.000
Ag: 0.000 0.000 0.000
Ba: 0.500 0.500 0.500

---

Arrangement c

A plane-wave DFT calculation with PBE was carried out for an optimized crystal structure of BaAgI3.

crystal system = cubic
SG = Pm-3m, No. 221
total moment = 0.0 Bohr magnetons per cell
ρ = 3.44 Mg/m³

a b c (Å): 6.708 6.708 6.708
angles (deg): 90.00 90.00 90.00
Positions (direct):
I: 0.500 0.000 0.000
I: 0.000 0.000 0.500
I: 0.000 0.500 0.000
Ba: 0.000 0.000 0.000
Ag: 0.500 0.500 0.500

---

Here is how they stack up, most stable first: arrangement a, arrangement b, arrangement c.

---

Arrangement a

A plane-wave DFT calculation with PBE was carried out for an optimized crystal structure of BaAg3I.

crystal system = cubic
SG = Pm-3m, No. 221
total moment = 0.0 Bohr magnetons per cell
ρ = 5.53 Mg/m³

a b c (Å): 5.611 5.611 5.611
angles (deg): 90.00 90.00 90.00
Positions (direct):
I: 0.000 0.000 0.000
Ag: 0.500 0.000 0.000
Ag: 0.000 0.000 0.500
Ag: 0.000 0.500 0.000
Ba: 0.500 0.500 0.500

---

Arrangement b

A plane-wave DFT calculation with PBE was carried out for an optimized crystal structure of BaAg3I.
“It’s almost Halloween. You could be a fox; you have the hair for it.”
“Ugh, no. That is the literal definition of cringe.”
I gesture to the cock ring in her hand. It’s hot pink, and the tag says it’s made by a company called the Big O. “That vibrates, nice. Cheesy?”
“I can imagine someone buying it for their husband because things have gotten stale.” She spots a pair of fluffy handcuffs and holds them out. “Wait, this is even cheesier. Whenever I think about porn, this is what comes to mind.”
“Never watched any?”
She shakes her head. “I’ll stick to my spicy romance novels, thanks.”
“I’d rather imagine the guys looking exactly like I want them to.”
“Oh yeah? And what’s that?”
She smiles sweetly. “Don’t you wish you knew. Where are all the dildos?”
“Wall in the back.”
She goes to look, but I hang back, distracted by a mannequin wearing a leather corset. That would look hot as fuck on Penny. If she added heels and put her hair up? I think I might have a heart attack.
The entry is interrupted by records of crystals =
<<<
# 1
{
  "formula": "LiSiB3",
  "functional": "GGA-PBE",
  "state": "relaxed",
  "polymorph_energy_mev_per_atom": 0,
  "total_magnetization_mub_per_fu": 0.000,
  "spacegroup": "Pm-3m, No. 221",
  "volume_a3_per_cell": 64.1,
  "cell": [[4.002, 0.000, 0.000], [0.000, 4.002, 0.000], [0.000, 0.000, 4.002]],
  "species": ["B", "B", "B", "Li", "Si"],
  "frac_coords": [[0.000, 0.000, 0.500], [0.000, 0.500, 0.000], [0.500, 0.000, 0.000], [0.500, 0.500, 0.500], [0.000, 0.000, 0.000]]
}

=====

# 2
{
  "formula": "Nd2HoAl2Zn2",
  "functional": "GGA-PBE",
  "state": "relaxed",
  "total_magnetization_mub_per_fu": 0.000,
  "e_form_ev_per_atom": -0.317,
  "spacegroup": "R-3m, No. 166",
  "volume_a3_per_cell": 166.2,
  "cell": [[4.522, 0.000, 0.000], [2.261, 3.916, 0.000], [2.261, 1.305, 9.384]],
  "species": ["Ho", "Al", "Al", "Zn", "Zn", "Nd", "Nd"],
  "frac_coords": [[0.000, 0.000, 0.000], [0.270, 0.270, 0.189], [0.730, 0.730, 0.811], [0.391, 0.391, 0.827], [0.609, 0.609, 0.173], [0.874, 0.874, 0.377], [0.126, 0.126, 0.623]]
}

=====

# 3
{
  "formula": "Li10CaAg2",
  "functional": "GGA-PBE",
  "state": "relaxed",
  "total_magnetization_mub_per_fu": 0.000,
  "e_form_ev_per_atom": -0.072,
  "spacegroup": "Fmmm, No. 69",
  "volume_a3_per_cell": 265.8,
  "cell": [[1.953, 5.132, 1.528], [0.156, 0.965, 7.188], [7.487, 0.029, 0.964]],
  "species": ["Li", "Li", "Li", "Li", "Li", "Li", "Li", "Li", "Li", "Li", "Ag", "Ag", "Ca"],
  "frac_coords": [[0.353, 0.633, 0.661], [0.000, 0.000, 0.500], [0.492, 0.225, 0.790], [0.508, 0.775, 0.210], [0.647, 0.367, 0.339], [0.717, 0.775, 0.790], [0.014, 0.633, 0.339], [0.986, 0.367, 0.661], [0.500, 0.000, 0.500], [0.283, 0.225, 0.210], [0.500, 0.500, 0.000], [0.000, 0.500, 0.000], [0.000, 0.000, 0.000]]
}
>>>
I notice a rack of videotapes—the old-fashioned kind, not even DVDs—filled with vintage porn, and riffle through the bunch. Some of the ladies on the covers are hot enough to make me wish I had a way to play them. The one redhead in the bunch doesn’t hold a candle to my Red, though. There’s a tripod on the shelf above them, a little one that could sit atop a dresser to facilitate a homemade sex tape. I grin as I grab it. Does this count as cheesy or just cringe? I’ve never given much thought to how many bad homemade sex tapes there must be in the world, but I’m sure the answer is way too many.
I hold up the tripod as I make my way to the wall of dildos in the back. Penny has a pink box tucked underneath her arm, and she’s peering at the vibrators with a serious expression on her face.